********
Here is a relaxed CdPRu crystal from Alexandria via LeMat-Bulk. Energies are from PBE-GGA.

Geometry as CIF:
```
data_CdPRu
_chemical_formula_sum 'Cd4 P4 Ru4'
_cell_length_a 5.892
_cell_length_b 5.892
_cell_length_c 5.892
_cell_angle_alpha 90.00
_cell_angle_beta 90.00
_cell_angle_gamma 90.00
_space_group_name_H-M_alt 'P 1'
_space_group_IT_number 1
loop_
_space_group_symop_operation_xyz
'x,y,z'
loop_
_atom_site_label
_atom_site_fract_x
_atom_site_fract_y
_atom_site_fract_z
Cd1 0.000 0.000 0.000
Cd2 0.000 0.500 0.500
Cd3 0.500 0.000 0.500
Cd4 0.500 0.500 0.000
P1 0.250 0.250 0.250
P2 0.250 0.750 0.750
P3 0.750 0.250 0.750
P4 0.750 0.750 0.250
Ru1 0.000 0.000 0.500
Ru2 0.000 0.500 0.000
Ru3 0.500 0.000 0.000
Ru4 0.500 0.500 0.500
```

---

Here is a relaxed CdPRu crystal from Alexandria via LeMat-Bulk. Energies are from PBE-GGA.

Geometry as CIF:
```
data_CdPRu
_chemical_formula_sum 'Cd1 P1 Ru1'
_cell_length_a 3.948
_cell_length_b 3.948
_cell_length_c 3.801
_cell_angle_alpha 90.00
_cell_angle_beta 90.00
_cell_angle_gamma 120.00
_space_group_name_H-M_alt 'P 1'
_space_group_IT_number 1
loop_
_space_group_symop_operation_xyz
'x,y,z'
loop_
_atom_site_label
_atom_site_fract_x
_atom_site_fract_y
_atom_site_fract_z
Cd1 0.000 0.000 0.000
P1 0.333 0.667 0.500
Ru1 0.667 0.333 0.500
```

---

Here is a relaxed Cd2PRu crystal from Alexandria via LeMat-Bulk. Energies are from PBE-GGA.

Geometry as CIF:
```
data_Cd2PRu
_chemical_formula_sum 'Cd2 P1 Ru1'
_cell_length_a 3.664
_cell_length_b 3.664
_cell_length_c 5.247
_cell_angle_alpha 90.00
_cell_angle_beta 90.00
_cell_angle_gamma 90.00
_space_group_name_H-M_alt 'P 1'
_space_group_IT_number 1
loop_
_space_group_symop_operation_xyz
'x,y,z'
loop_
_atom_site_label
_atom_site_fract_x
_atom_site_fract_y
_atom_site_fract_z
Cd1 0.000 0.000 0.249
Cd2 0.000 0.000 0.751
P1 0.500 0.500 0.500
Ru1 0.500 0.500 0.000
```

---

Here is a relaxed Cd2PRu crystal from Alexandria via LeMat-Bulk. Energies are from PBE-GGA.

Geometry as CIF:
```
data_Cd2PRu
_chemical_formula_sum 'Cd8 P4 Ru4'
_cell_length_a 8.789
_cell_length_b 8.789
_cell_length_c 4.466
_cell_angle_alpha 90.00
_cell_angle_beta 90.00
_cell_angle_gamma 90.00
_space_group_name_H-M_alt 'P 1'
_space_group_IT_number 1
loop_
_space_group_symop_operation_xyz
'x,y,z'
loop_
_atom_site_label
_atom_site_fract_x
_atom_site_fract_y
_atom_site_fract_z
Cd1 0.146 0.250 0.125
Cd2 0.250 0.646 0.375
Cd3 0.250 0.854 0.875
Cd4 0.354 0.250 0.625
Cd5 0.646 0.750 0.625
Cd6 0.750 0.146 0.875
Cd7 0.750 0.354 0.375
Cd8 0.854 0.750 0.125
P1 0.000 0.000 0.000
P2 0.000 0.500 0.250
P3 0.500 0.000 0.750
P4 0.500 0.500 0.500
Ru1 0.000 0.000 0.500
Ru2 0.000 0.500 0.750
Ru3 0.500 0.000 0.250
Ru4 0.500 0.500 0.000
```

---

Here is a relaxed Cd2PRu crystal from Alexandria via LeMat-Bulk. Energies are from PBE-GGA.

Geometry as CIF:
```
data_Cd2PRu
_chemical_formula_sum 'Cd4 P2 Ru2'
_cell_length_a 10.716
_cell_length_b 3.113
_cell_length_c 4.784
_cell_angle_alpha 90.00
_cell_angle_beta 107.78
_cell_angle_gamma 90.00
_space_group_name_H-M_alt 'P 1'
_space_group_IT_number 1
loop_
_space_group_symop_operation_xyz
'x,y,z'
loop_
_atom_site_label
_atom_site_fract_x
_atom_site_fract_y
_atom_site_fract_z
Cd1 0.000 0.000 0.000
Cd2 0.194 0.000 0.658
Cd3 0.500 0.500 0.000
Cd4 0.694 0.500 0.658
P1 0.296 0.500 0.275
P2 0.796 0.000 0.275
Ru1 0.450 0.000 0.472
Ru2 0.950 0.500 0.472
```

---

Here is a relaxed Cd2PRu crystal from Alexandria via LeMat-Bulk. Energies are from PBE-GGA.

Geometry as CIF:
```
data_Cd2PRu
_chemical_formula_sum 'Cd2 P1 Ru1'
_cell_length_a 2.992
_cell_length_b 2.992
_cell_length_c 8.117
_cell_angle_alpha 90.00
_cell_angle_beta 90.00
_cell_angle_gamma 90.00
_space_group_name_H-M_alt 'P 1'
_space_group_IT_number 1
loop_
_space_group_symop_operation_xyz
'x,y,z'
loop_
_atom_site_label
_atom_site_fract_x
_atom_site_fract_y
_atom_site_fract_z
Cd1 0.000 0.000 0.000
Cd2 0.500 0.500 0.308
P1 0.000 0.000 0.604
Ru1 0.500 0.500 0.743
```

---
********

Copy every line earlier on that contains the word "Cd2".

Cd2 0.000 0.500 0.500
_chemical_formula_sum 'Cd2 P1 Ru1'
Cd2 0.000 0.000 0.751
Cd2 0.250 0.646 0.375
Cd2 0.194 0.000 0.658
_chemical_formula_sum 'Cd2 P1 Ru1'
Cd2 0.500 0.500 0.308